What to do:
What is needed: start at the top of the entries further down and transcribe each line, ending with the one that has "-3.49".

Input:
=====
DFT (PBE-GGA) results for crystalline Tm2ZrSe4 at its relaxed geometry.

Lattice parameters (Å, degrees): 14.5518 3.9823 7.0631 90.00 118.93 90.00
Space group C2/m (No. 12)
One atom of each set of equivalent atoms:
Tm: 0.2418 0.0000 0.2554 x4
Zr: 0.0000 0.5000 0.5000 x2
Se: 0.1177 0.5000 0.2939 x4
Se: 0.1259 0.0000 0.7863 x4

Output
V in A^3/atom: 25.59
Total energy in eV per atom: -6.0999



DFT (PBE-GGA) results for crystalline Tm2ZrSe5 at its relaxed geometry.

Lattice parameters (Å, degrees): 5.4724 13.3638 13.2361 90.00 90.00 90.00
Space group Cmcm (No. 63)
One atom of each set of equivalent atoms:
Tm: 0.0000 0.1497 0.0581 x8
Zr: 0.0000 0.1960 0.7500 x4
Se: 0.0000 0.0475 0.6231 x8
Se: 0.0000 0.2571 0.2500 x4
Se: 0.0000 0.3183 0.5783 x8

Output
V in A^3/atom: 30.25
Total energy in eV per atom: -5.9435



DFT (PBE-GGA) results for crystalline USe2 at its relaxed geometry.

Lattice parameters (Å, degrees): 14.0433 3.5105 3.5090 90.00 90.10 90.00
Space group C2/m (No. 12)
One atom of each set of equivalent atoms:
U: 0.0000 0.0000 0.0000 x2
Se: 0.1143 0.5000 0.5008 x4

Output
V in A^3/atom: 28.83
Total energy in eV per atom: -7.0976



DFT (PBE-GGA) results for crystalline U2Se at its relaxed geometry.

Lattice parameters (Å, degrees): 3.5352 3.5352 9.5480 90.00 90.00 90.00
Space group I4/mmm (No. 139)
One atom of each set of equivalent atoms:
U: 0.0000 0.0000 0.1965 x4
Se: 0.0000 0.0000 0.5000 x2

Output
V in A^3/atom: 19.89
Total energy in eV per atom: -9.0695

~~~~~

Entry from Alexandria via LeMat-Bulk: an optimized crystal structure of BaLi17Nd (GGA-PBE).

CIF file:
```
data_BaLi17Nd
_chemical_formula_sum 'Ba3 Li51 Nd3'
_space_group_name_H-M_alt 'R 3 m'
_space_group_IT_number 160
_space_group_name_Hall 'R 3 -2"'
_cell_length_a 10.2075
_cell_length_b 10.2075
_cell_length_c 14.8969
_cell_angle_alpha 90.00
_cell_angle_beta 90.00
_cell_angle_gamma 120.00
loop_
_atom_site_label
_atom_site_type_symbol
_atom_site_fract_x
_atom_site_fract_y
_atom_site_fract_z
Ba1 Ba 0.0000 0.0000 0.0000
Li1 Li 0.0000 0.0000 0.2621
Li2 Li 0.0000 0.0000 0.4539
Li3 Li 0.0047 0.5024 0.5024
Li4 Li 0.0088 0.2969 0.3552
Li5 Li 0.0204 0.5102 0.2037
Li6 Li 0.1671 0.3341 0.1886
Nd1 Nd 0.0000 0.0000 0.6966
```

Output
Size of the total moment, μB per formula unit: 1.54
DFT total energy, eV per atom: -2.01



Entry from Alexandria via LeMat-Bulk: an optimized crystal structure of BaLi2NdPb2 (GGA-PBE).

CIF file:
```
data_BaLi2NdPb2
_chemical_formula_sum 'Ba1 Li2 Nd1 Pb2'
_space_group_name_H-M_alt 'P -3 m 1'
_space_group_IT_number 164
_space_group_name_Hall '-P 3 2"'
_cell_length_a 4.9939
_cell_length_b 4.9939
_cell_length_c 8.4023
_cell_angle_alpha 90.00
_cell_angle_beta 90.00
_cell_angle_gamma 120.00
loop_
_atom_site_label
_atom_site_type_symbol
_atom_site_fract_x
_atom_site_fract_y
_atom_site_fract_z
Ba1 Ba 0.0000 0.0000 0.0000
Li1 Li 0.3333 0.6667 0.6850
Nd1 Nd 0.0000 0.0000 0.5000
Pb1 Pb 0.3333 0.6667 0.2934
```

Output
Size of the total moment, μB per formula unit: 0.00
DFT total energy, eV per atom: -3.49



Entry from Alexandria via LeMat-Bulk: an optimized crystal structure of BaLi2Nd2Pb2 (GGA-PBE).

CIF file:
```
data_BaLi2Nd2Pb2
_chemical_formula_sum 'Ba3 Li6 Nd6 Pb6'
_space_group_name_H-M_alt 'R -3 m'
_space_group_IT_number 166
_space_group_name_Hall '-R 3 2"'
_cell_length_a 5.0481
_cell_length_b 5.0481
_cell_length_c 29.9433
_cell_angle_alpha 90.00
_cell_angle_beta 90.00
_cell_angle_gamma 120.00
loop_
_atom_site_label
_atom_site_type_symbol
_atom_site_fract_x
_atom_site_fract_y
_atom_site_fract_z
Ba1 Ba 0.0000 0.0000 0.0000
Li1 Li 0.0000 0.0000 0.4223
Nd1 Nd 0.0000 0.0000 0.1323
Pb1 Pb 0.0000 0.0000 0.2520
```

Output
Size of the total moment, μB per formula unit: 0.00
DFT total energy, eV per atom: -3.63



Entry from Alexandria via LeMat-Bulk: an optimized crystal structure of Ba4LiNd3S8 (GGA-PBE).

CIF file:
```
data_Ba4LiNd3S8
_chemical_formula_sum 'Ba12 Li3 Nd9 S24'
_space_group_name_H-M_alt 'R -3 m'
_space_group_IT_number 166
=====

Solution:
DFT (PBE-GGA) results for crystalline Tm2ZrSe4 at its relaxed geometry.

Lattice parameters (Å, degrees): 14.5518 3.9823 7.0631 90.00 118.93 90.00
Space group C2/m (No. 12)
One atom of each set of equivalent atoms:
Tm: 0.2418 0.0000 0.2554 x4
Zr: 0.0000 0.5000 0.5000 x2
Se: 0.1177 0.5000 0.2939 x4
Se: 0.1259 0.0000 0.7863 x4

Output
V in A^3/atom: 25.59
Total energy in eV per atom: -6.0999



DFT (PBE-GGA) results for crystalline Tm2ZrSe5 at its relaxed geometry.

Lattice parameters (Å, degrees): 5.4724 13.3638 13.2361 90.00 90.00 90.00
Space group Cmcm (No. 63)
One atom of each set of equivalent atoms:
Tm: 0.0000 0.1497 0.0581 x8
Zr: 0.0000 0.1960 0.7500 x4
Se: 0.0000 0.0475 0.6231 x8
Se: 0.0000 0.2571 0.2500 x4
Se: 0.0000 0.3183 0.5783 x8

Output
V in A^3/atom: 30.25
Total energy in eV per atom: -5.9435



DFT (PBE-GGA) results for crystalline USe2 at its relaxed geometry.

Lattice parameters (Å, degrees): 14.0433 3.5105 3.5090 90.00 90.10 90.00
Space group C2/m (No. 12)
One atom of each set of equivalent atoms:
U: 0.0000 0.0000 0.0000 x2
Se: 0.1143 0.5000 0.5008 x4

Output
V in A^3/atom: 28.83
Total energy in eV per atom: -7.0976



DFT (PBE-GGA) results for crystalline U2Se at its relaxed geometry.

Lattice parameters (Å, degrees): 3.5352 3.5352 9.5480 90.00 90.00 90.00
Space group I4/mmm (No. 139)
One atom of each set of equivalent atoms:
U: 0.0000 0.0000 0.1965 x4
Se: 0.0000 0.0000 0.5000 x2

Output
V in A^3/atom: 19.89
Total energy in eV per atom: -9.0695

~~~~~

Entry from Alexandria via LeMat-Bulk: an optimized crystal structure of BaLi17Nd (GGA-PBE).

CIF file:
```
data_BaLi17Nd
_chemical_formula_sum 'Ba3 Li51 Nd3'
_space_group_name_H-M_alt 'R 3 m'
_space_group_IT_number 160
_space_group_name_Hall 'R 3 -2"'
_cell_length_a 10.2075
_cell_length_b 10.2075
_cell_length_c 14.8969
_cell_angle_alpha 90.00
_cell_angle_beta 90.00
_cell_angle_gamma 120.00
loop_
_atom_site_label
_atom_site_type_symbol
_atom_site_fract_x
_atom_site_fract_y
_atom_site_fract_z
Ba1 Ba 0.0000 0.0000 0.0000
Li1 Li 0.0000 0.0000 0.2621
Li2 Li 0.0000 0.0000 0.4539
Li3 Li 0.0047 0.5024 0.5024
Li4 Li 0.0088 0.2969 0.3552
Li5 Li 0.0204 0.5102 0.2037
Li6 Li 0.1671 0.3341 0.1886
Nd1 Nd 0.0000 0.0000 0.6966
```

Output
Size of the total moment, μB per formula unit: 1.54
DFT total energy, eV per atom: -2.01



Entry from Alexandria via LeMat-Bulk: an optimized crystal structure of BaLi2NdPb2 (GGA-PBE).

CIF file:
```
data_BaLi2NdPb2
_chemical_formula_sum 'Ba1 Li2 Nd1 Pb2'
_space_group_name_H-M_alt 'P -3 m 1'
_space_group_IT_number 164
_space_group_name_Hall '-P 3 2"'
_cell_length_a 4.9939
_cell_length_b 4.9939
_cell_length_c 8.4023
_cell_angle_alpha 90.00
_cell_angle_beta 90.00
_cell_angle_gamma 120.00
loop_
_atom_site_label
_atom_site_type_symbol
_atom_site_fract_x
_atom_site_fract_y
_atom_site_fract_z
Ba1 Ba 0.0000 0.0000 0.0000
Li1 Li 0.3333 0.6667 0.6850
Nd1 Nd 0.0000 0.0000 0.5000
Pb1 Pb 0.3333 0.6667 0.2934
```

Output
Size of the total moment, μB per formula unit: 0.00
DFT total energy, eV per atom: -3.49